I am on vacation this week. So this is a ‘best of review’.
Assaulted by Joy is a good example of what seems to be a new genre of Christian memoir. These are the “how to grow up” books. Maybe this is not a new genre, but rather I am of the age, or just over the age, of the authors and both still am dealing with how to grow up and am surrounded by people that I just want to grow up.
The book starts out with the author, Stephen Simpson, discussing how much of a jerk he is.
“Still, I’m probably more of jerk than you are. It drives me nuts if something interferes with my life. I don’t like being bothered, and I don’t want any help. If you catch me when I’m in the mood to socialize, you’ll love me. Work with my schedule and I’ll deliver the sun and the moon. Otherwise, I hate being told what to do, and I have problems with authority. I’m short-tempered when I’m under stress or in a hurry. I start yelling inside my car when another driver cuts me off. As a bonus, I have Attention Deficit Disorder, which means I get impatient, irritated, and bored faster than normal people do.”
I think many in our world, myself included, are accurately described as “jerks”.
I will not spoil the story but there are two points that I think are really good in the book. One is when Stephen and his wife are sorting through a very difficult decision. They actually go to an ethicist to help them work through the issues. (Both he and his wife are graduates of Fuller, and he continues to work there, so it is former professors of theirs.) The ethicist (Ray) gives them an answer that I wish more pastors and friends would give people, “But Ray also told us something else. ‘You’re looking for answers,’ he said, ‘when what you need are accomplices.'” Simpson and his wife have a whole community come around them, this is the heart of the gospel in my mind. Not correct doctrine, not right belief, but accomplices that will walk with people through the struggles.
# Misplaced materials data
********
# GaTeS2N
Simulated X-ray diffraction stick pattern, Cu Kα (weighted mean of Kα1 and Kα2). Input: a cell relaxed with PBE.
Intensities are scaled so that the largest is 100.

Peak list (10 most intense, 2θ = 15–90°, sorted by position)
| 2θ/deg | d/Å | intensity |
| --- | --- | --- |
| 25.32 | 3.518 | 48.1 |
| 30.28 | 2.952 | 100.0 |
| 35.36 | 2.539 | 33.0 |
| 36.10 | 2.488 | 70.9 |
| 47.82 | 1.902 | 57.1 |
| 49.74 | 1.833 | 13.5 |
| 51.98 | 1.759 | 23.6 |
| 62.98 | 1.476 | 25.8 |
| 73.30 | 1.292 | 15.9 |
| 74.80 | 1.269 | 15.4 |

abc: 4.976 4.976 3.666
angles: 90.00 90.00 90.00
Sites, in units of the cell vectors:
Ga 0.000 0.000 0.000
Te 0.500 0.500 0.500
S 0.000 0.500 0.000
S 0.500 0.000 0.000
N 0.000 0.000 0.500


# Y6Hg5Ru
Simulated X-ray diffraction stick pattern, Cu Kα (weighted mean of Kα1 and Kα2). Input: a cell relaxed with PBE.
Intensities are scaled so that the largest is 100.

Peak list (10 most intense, 2θ = 15–90°, sorted by position)
| 2θ/deg | d/Å | intensity |
| --- | --- | --- |
| 24.38 | 3.651 | 13.4 |
| 34.43 | 2.605 | 100.0 |
| 34.65 | 2.589 | 25.4 |
| 34.84 | 2.575 | 23.1 |
| 49.96 | 1.826 | 16.6 |
| 61.40 | 1.510 | 9.2 |
| 61.95 | 1.498 | 18.3 |
| 62.21 | 1.492 | 15.3 |
| 72.58 | 1.302 | 10.4 |
| 83.60 | 1.157 | 10.6 |

abc: 8.955 8.955 8.955
angles: 146.39 130.94 60.78
Sites, in units of the cell vectors:
Y 0.079 0.343 0.737
Y 0.229 0.000 0.229
Y 0.394 0.657 0.737
Y 0.606 0.343 0.263
Y 0.771 0.000 0.771
Y 0.921 0.657 0.263
Hg 0.179 0.179 0.000
Hg 0.334 0.834 0.500
Hg 0.500 0.500 0.000
Hg 0.666 0.166 0.500
Hg 0.821 0.821 0.000
Ru 0.000 0.500 0.500
********
The second point that I found really helpful was really the final conclusion. Stephen says, “There’s a part of me that refuses to accept that I don’t need more. I never feel smart enough, fit enough, or wealthy enough. It’s hard for me to believe that there’s not more fun to be had around the next corner. The good news is that it doesn’t take as much as it used to for me to see that this isn’t true. Now, all it takes is one of my children crying because I’m leaving. They know I’ll be back, but they don’t even like it when I’m gone for a little while. How much more do I need to convince me that I’m worth something? Why do I think that there’s some rush or high that’s better than the love of my family?” I think this is the point that in our youth-oriented, goal-oriented culture we often miss. There really is something good about staying home and focusing on family.
In the end joy really does save him, not only from cynicism but in a positive way it makes him into the type of father that we all know we need to be. Not a perfect person, but one that is content and striving to be better.
Assaulted by Joy Purchase Links: Paperback
I am eager to read this again. But I loaned it to another like-minded cynic.
I liked this book but thought he could have given the reader a bit more. I’m fighting the same issue. Thought life can be brutally ugly. I didn’t quit by into his confession of being a jerk. But then again…I’m a cynic.